How to find the right jewellery making course for you

There are lots of different jewellery making courses on offer from a whole range of jewellery schools and independent jewellers, covering all sorts of different jewellery making techniques from silversmithing to wax carving, from online courses to workshops in person.

So as a beginner in jewellery making, how do you go about choosing the right one for you? Here’s our guide on how to navigate the different types of courses and find one to suit you.


What kind of jewellery would you like to make?


Firstly, we recommend working out which kind of jewellery making you’d like to learn first. Is it beading that interests you? Silversmithing or metal clay? Do some research, look at Pinterest and Instagram to find the style of jewellery making that most interests you. You could also look at jewellery-making books and free YouTube tutorials to get a feel for what kind of jewellery you’d like to learn how to make.


Are you looking for an in-person jewellery making course or online course?


Next, it’s a good idea to work out whether you’d be better suited to a course or workshop in person or an online course. Both have different pros and cons, and you may find one is better suited to your learning style or a better fit with your current routine/lifestyle.


With in-person courses you won’t need to have any equipment to begin with, as this is provided by the jewellery school you attend. It can also be helpful to have a tutor by your side whilst you are learning, to demonstrate or correct you when learning a technique. In-person courses are also a good way to test the water to see if jewellery making is for you – before you make an investment.


The downside to in-person courses is that you will be limited to the jewellery making courses available near you, which might not be what you are looking for or of a good standard. Time is often limited and you will probably only be left with a printed set of course notes to continue practicing at home once you’ve finished the course.


With an online course, such as the ones at Jewellers Academy, you have access to a whole range of courses focusing on different techniques. Online courses can also be taken at any time and therefore may fit in with your schedule better. You will also be able to replay the course as many times as you like – as well as see the most incredible details.

Here the text breaks off for data records:
+++
# 1
A molecular structure, C8H26AgFO8 at a distorted geometry, computed with wB97M-V/def2-TZVPD.

The geometry in XYZ format:
```
44
Properties=species:S:1:pos:R:3:forces:R:3:lowdin_charge:R:1
Ag 4.770943 -22.092438 -20.068361 0.6 0.2 0.2 0.86
F 7.008627 -20.955278 -19.745208 0.1 -0.6 0.7 -0.47
C 9.852479 -20.446830 -21.451223 0.5 1.8 -2.5 -0.19
O 9.512391 -21.577097 -20.808486 -0.3 -2.8 3.6 -0.12
H 9.564718 -20.735272 -22.462214 0.4 1.4 -0.8 0.09
H 9.280257 -19.595783 -21.081925 0.1 0.3 -0.2 0.08
H 10.914934 -20.206198 -21.413849 0.0 -0.2 0.1 0.10
H 8.632141 -21.374242 -20.483495 -0.8 -0.6 0.3 0.02
C 6.902725 -19.212582 -23.108880 0.4 -1.1 0.2 -0.15
O 5.511585 -18.939963 -23.096969 0.0 1.0 -0.2 -0.11
H 7.624654 -18.395961 -23.115591 -0.9 0.9 0.0 0.09
H 7.151485 -19.749500 -22.193488 0.2 -0.4 -0.2 0.04
H 7.150328 -19.777634 -24.007490 0.1 -0.4 0.1 0.08
H 5.044855 -19.623666 -22.610841 0.3 0.0 -0.1 0.06
C 9.605322 -20.572789 -17.285783 3.3 1.9 -1.0 -0.08
C 8.797686 -21.859497 -16.856400 -1.8 -2.1 -0.2 -0.13
O 7.532697 -21.407663 -16.865522 -0.8 0.6 1.5 0.14
O 10.634827 -21.097856 -18.100552 -1.0 0.7 2.3 0.10
H 10.030013 -20.034849 -16.438228 0.4 -0.9 0.5 0.15
H 9.055068 -19.737876 -17.719660 -0.9 -0.9 -0.8 0.14
H 9.002607 -22.304861 -15.882868 0.6 0.6 0.0 0.17
H 8.847173 -22.606336 -17.648791 0.9 -0.1 0.0 0.12
H 7.241229 -21.335215 -17.777332 -0.7 0.3 -1.5 0.08
H 10.216806 -21.537211 -18.844748 -0.1 0.0 -1.8 0.08
C 4.989978 -18.279153 -19.903248 -0.9 1.7 0.4 -0.19
C 6.284275 -17.706975 -19.272499 -2.3 1.5 0.2 -0.27
O 7.361819 -18.161450 -19.935799 2.7 -0.9 -1.4 -0.06
O 4.786106 -19.651372 -19.587509 -0.1 -0.4 0.1 -0.14
H 4.985213 -18.128017 -20.982712 0.7 -0.1 -0.1 0.10
H 4.091861 -17.728637 -19.623208 0.1 0.0 0.6 0.12
H 6.453946 -17.753001 -18.196762 -0.8 -0.8 0.5 0.12
H 6.263580 -16.624522 -19.398834 -0.2 0.2 -0.4 0.13
H 7.300136 -19.112637 -20.050007 0.2 -0.4 0.0 0.02
H 5.703893 -19.924568 -19.519482 0.5 -1.0 0.2 -0.02
C 6.628230 -25.339668 -18.849545 1.5 -0.5 1.0 -0.17
C 7.784130 -25.691664 -17.811703 -2.1 0.5 -0.6 -0.23
O 9.104275 -25.412723 -18.250484 -0.8 -0.1 0.5 -0.05
O 6.378257 -23.935561 -18.845437 -0.4 1.0 0.4 -0.14
H 5.727945 -25.812831 -18.457503 0.0 -0.1 -0.4 0.12
H 6.855405 -25.545805 -19.895496 0.1 -1.0 0.2 0.13
H 7.720621 -26.678501 -17.353225 -0.2 -0.6 -0.9 0.12
H 7.523216 -25.097639 -16.935828 0.0 0.7 0.1 0.11
H 9.502045 -25.767098 -17.451864 1.5 0.2 -0.3 0.09
H 7.228896 -23.506053 -18.961806 0.1 0.2 -0.3 0.05
```
Positions in Å, forces in eV/Å.

## Properties
strongest force on any atom = 4.5 eV/A
total charge = +1
gap between HOMO and LUMO (alpha / beta) = 8.118 / 3.988 eV
LUMO (alpha / beta) = -0.1642 / -0.3160 Ha
multiplicity = 2

# 2
A molecular structure, C26H32BrIMnN9O3S3 at a distorted geometry, computed with wB97M-V/def2-TZVPD.

The geometry in XYZ format:
```
76
Properties=species:S:1:pos:R:3:forces:R:3:lowdin_charge:R:1
Mn 0.266877 -1.693274 0.323033 -0.5 -1.2 -0.8 0.57
+++
Back to the text:


Some of the longer online courses, such as the Diplomas at Jewellers Academy are also fully supported with regular access to mentors and Q&A sessions to help guide you through your learning. Giving you the same level of support of a tutor at an in-person course.

What equipment and tools will you need to start jewellery making?

Do you want to make a specific piece of jewellery, for example, a ring? Or do you see this as a hobby that you plan to do from home? If you’d just like the experience of making a piece of jewellery then finding a workshop you can attend close to you is a good option. That way you don’t need to invest in the tools to have at home. Check out Craft Courses for local jewellery-making options.

If you have in mind that it is something you would like to do at home the next step is to consider what kind of set-up and tools you’ll need to start making the particular type of jewellery you’d like to make. The tools required to start beading or making silver clay jewellery are minimal and much more affordable compared to the basic tools required to start silversmithing for example.


We recommend working out what your budget is and how much you will need to spend on getting your workspace and tool station set up. We have a few helpful blog posts on the basic tools required for different kinds of jewellery making.


Basic tools for working with silver and gold

<<<
12
Properties=species:S:1:pos:R:3 method="wB97M-V/def2-TZVPD" max_force_ev_per_a=2.1 e_tot_ev=-24728.8509 lumo_energy_ev=-0.9 homo_lumo_gap_ha=0.2548
O 0.88497 -0.50513 -2.04570
C -0.05802 0.49940 1.36666
C -0.91433 1.50264 1.05393
H -0.22828 0.09296 2.37800
H -0.74460 2.13674 0.17390
H -1.75365 1.79335 1.70206
Ca 1.26630 -0.50976 -0.08722
C -0.16214 -0.35654 -2.88530
C -1.28585 -1.09996 -2.85657
H 0.06734 0.25011 -3.77586
H -1.52296 -1.71659 -1.98404
H -1.87800 -1.21987 -3.76398
>>>
[Back to the page]

Basic tools for making silver clay jewellery

Basic tools for making beaded jewellery


Are you looking for a short course or a longer, more structured course?


Where are you in your jewellery making journey? If you haven’t done any jewellery making before but want to give it a try, then trying a few different, short taster courses is a good place to start.


If you’ve been making jewellery for a while whether as a hobby or as a business but want to take your skills to the next level, the perhaps a longer, more structured course such as a Diploma could be right for you.

# Inserted here: data records
********
Formula: C6H6N
Source: the OMol25 dataset
Level of theory: the ωB97M-V functional and the def2-TZVPD basis

Calculated values
Electronic energy   -7794.49004 eV
Energy relative to the best compared isomer or geometry (same formula, charge and spin)   1.350 eV
2S+1   3
<S²>   2.02
Total charge   +1

Positions of all 13 atoms, in Å:
N: 0.333885 -0.752629 -0.049172
C: 0.565707 0.639943 -0.045351
C: -1.527837 0.137337 -0.010179
C: 1.594103 -1.030544 0.022265
C: -0.632547 1.237940 0.006190
C: 2.056185 0.411281 -0.014617
C: -2.575408 -0.589470 -0.006910
H: -0.929066 2.271336 0.072806
H: 2.595307 0.769159 0.860694
H: -3.567176 -0.146847 0.030693
H: 2.588919 0.707268 -0.917335
H: 2.081820 -1.986130 0.104653
H: -2.583889 -1.668640 -0.053732

Atomic forces in eV per Å
N 1.556 -1.516 -0.205
C 1.125 -2.772 0.077
C 2.869 4.499 0.041
C 0.382 0.990 0.014
C -3.148 0.150 0.087
C 1.230 0.441 0.021
C -4.119 -1.604 0.018
H 0.212 0.254 -0.068
H -0.044 0.161 -0.003
H -0.401 0.019 0.070
H 0.010 0.088 0.013
H 0.039 -0.258 -0.020
H 0.289 -0.450 -0.044


Formula: C32H38F3N2O6S
Source: the OMol25 dataset
Level of theory: the ωB97M-V functional and the def2-TZVPD basis

Calculated values
Electronic energy   -68042.01888 eV
Total charge   +1

Positions of all 82 atoms, in Å:
S: 1.563994 -2.268551 1.448783
F: 1.231793 -4.179264 -1.863998
F: -1.293292 -5.452367 0.215998
F: 1.319650 -5.767532 -0.407966
O: 4.355599 1.586572 2.730858
O: 8.845995 4.360439 2.323296
O: -5.717167 -1.028971 0.417605
O: 0.583333 -3.170346 1.987384
O: -8.719452 -0.299086 4.716617
O: 2.592645 -2.842864 0.633133
N: -0.888072 0.025450 -0.611548
N: 1.130902 0.229151 0.152490
C: -1.400494 -3.352374 -0.964441
C: -8.035855 -0.467575 3.734253
C: 0.181942 2.253171 -1.003585
C: 5.387663 2.227026 2.636288
C: -0.596144 -1.164783 0.026016
C: -2.154726 0.469176 -1.261233
C: 2.307011 -1.437470 2.804004
C: 6.689243 3.950865 1.479522
C: 5.562309 3.253007 1.582584
C: 4.538658 -0.530985 -0.319593
C: -1.513556 -2.323248 0.196735
C: -6.222852 -1.692094 2.619350
C: 0.707677 1.519526 -4.812422
C: -3.039117 1.187290 -0.224474
C: -0.660787 -4.572484 -0.572713
C: 3.580475 0.091736 0.053300
C: 0.842435 1.201180 -3.316729
C: 0.674463 -1.048030 0.504964
C: 7.641034 2.696632 3.474674
C: 0.587237 -4.831084 -0.924733
C: 6.511203 2.001309 3.572922
C: -2.934086 -0.587509 -2.030194
C: 0.483688 2.451055 -2.517284
C: -2.225894 -1.152130 -3.271018
C: -8.219774 0.361516 2.513568
C: 0.162827 0.852229 -0.507034
C: -6.976805 -1.510993 3.699954
C: 7.821665 3.727498 2.419070
C: -7.463930 0.177573 1.434700
C: -6.407936 -0.861855 1.405569
C: 2.420316 0.846236 0.504811
C: 2.288872 0.741242 -3.009454
H: 1.295570 2.397839 -5.070378
H: -3.211096 2.218417 -0.536260
H: -4.012470 0.714407 -0.155836
H: -6.861724 -2.104728 4.597677
H: -2.463546 -2.206046 -3.397699
H: -1.841884 1.196918 -2.007858
H: -8.997626 1.112857 2.559496
H: 1.338501 3.124621 -2.594250
H: -3.816731 -0.052503 -2.382890
H: -0.811985 2.652713 -0.805955
H: -5.447396 -2.446247 2.571065
********

Jewellers Academy Diploma Programs

If you’re looking for something more structured like a Diploma, then we have four exciting online Jewellery Diploma programs to choose from…

  • Year 1 - Diploma in Silver Jewellery

  • Year 2 - Diploma in Fine Jewellery

  • Year 3 - Advanced Jewellery Diploma

  • NEW FOR 2023 - Diploma in Silver Metal Clay


These are year-long, fully supported online courses which require a one day a week commitment. They are relatively flexible so can easily fit around your current routine/schedule and you can join at any level depending on your experience. To find out more about the curriculum on each Diploma click the link below.

Jewellers Academy Short Courses & Membership

If you’re not quite ready to commit to a year-long program on one of our Diplomas, then we have lots of short courses available for you to choose from. Courses include:

Plus much more! Click the link below to explore them all.

All of these courses can be purchased individually and some are completely free. You can also access all of these courses by becoming a member of Jewellers Academy on either our Makers Membership or the full Membership which also includes access to all of our business courses too.